Quirky (kwẽrk"y̆) adj. a. an individualizing characteristic or quality
b. strikingly unconventional
The text is interrupted by calculated crystals
Starting from a cell relaxed with PBE+U, the X-ray powder pattern of Rb3V2Cl3F4 was computed for CuKα.
No peak broadening, texture or thermal motion is included.

Peak list (8 most intense, 10 to 90 degrees two-theta, in order of rising 2θ)
Position (°2θ)  I_rel  hkl
25.21  683  0 1 5
27.30  1000  1 1 0
27.63  907  1 0 5
30.99  420  1 1 4
35.10  568  1 1 6
35.44  702  0 2 0
36.46  565  0 0 10
45.52  452  1 2 5

Atomic structure:
```
data_Rb3V2Cl3F4
_space_group_name_H-M_alt 'I m m m'
_space_group_IT_number 71
_space_group_name_Hall '-I 2 2'
_cell_length_a 4.273
_cell_length_b 5.066
_cell_length_c 24.640
_cell_angle_alpha 90.00
_cell_angle_beta 90.00
_cell_angle_gamma 90.00
loop_
_atom_site_label
_atom_site_type_symbol
_atom_site_fract_x
_atom_site_fract_y
_atom_site_fract_z
Rb1 Rb 0.000 0.000 0.000
Rb2 Rb 0.000 0.000 0.195
V1 V 0.000 0.000 0.391
Cl1 Cl 0.000 0.000 0.500
So I have this quirky interest that has followed me over the years. I think it started on my Grandpa's farm in Moses Lake. The farm was a great place to visit. There were endless activities that would entertain us grandkids for hours. Some of my favorites were feeding the cows, climbing haystacks, flying kites, walking tight ropes, snitchin' dried fruit out of the cellar closet, shooting BB guns, swimming in the canal, spraying the fire hose, and learning to drive the feed truck (now that one brings back some memories). Yeah, the farm was a fun place - it was a place where cousin bonds were built and memories of a childhood were woven into the fabric of our souls.
My favorite activity that I'd secretly like to do is Archery. There always seemed to be a bow and arrow at the farm. I loved shooting them into the hay bales at targets. I also loved shooting them into the pasture - just to see how far they'd fly. I remember us cousins would always try to out-do the next. I don't think I had much skill in this activity, but I just loved the repetitiveness of it. I loved the ZING of the string as you let the arrow fly and the PLUNK of arrows hitting a target. Oh! And one could never forget the barely audible whisper sound of the
WHIZZING an arrow would make when one of the uncles shot into the pasture. Now talk about hang time. Those babies would fly far - amazing what a little muscle could do. I'm sure the uncles loved that us cousins would scatter and go retrieve all those pastures arrows - the thrill of the hunt or something.
• Data records from another source follow:
- - -
Starting from a structure optimized by DFT (PBE), the powder diffractogram of PmNdSbN was simulated for Cu Kα.
Neutral-atom scattering factors, no anomalous dispersion.

Peak list (10 most intense, 10° ≤ 2θ ≤ 90°, sorted by position)
d = 2.958 Å, 2θ = 30.21°, rel. 100
d = 2.936 Å, 2θ = 30.45°, rel. 98
d = 2.635 Å, 2θ = 34.02°, rel. 72
d = 2.407 Å, 2θ = 37.35°, rel. 22
d = 1.875 Å, 2θ = 48.56°, rel. 15
d = 1.852 Å, 2θ = 49.20°, rel. 14
d = 1.777 Å, 2θ = 51.41°, rel. 39
d = 1.580 Å, 2θ = 58.40°, rel. 31
d = 1.570 Å, 2θ = 58.83°, rel. 30
d = 1.479 Å, 2θ = 62.82°, rel. 10

Crystal structure
Cell: 7.6878 7.6878 7.6878 Å, 152.12 151.77 40.09°
Positions (direct):
Pm  0.0000  0.0000  0.0000
Nd  0.6979  0.6979  0.0000
Sb  0.3501  0.3501  0.0000
N  0.0984  0.5984  0.5000

=====

[1]
This entry pairs a crystal structure of Hg3H4Pd9 with its calculated X-ray powder pattern. Radiation: Cu Ka. Structure: a cell relaxed with GGA-PBE.
Peak positions follow from Bragg's law for the DFT cell and can differ from measured ones.

Main lines, in order of rising 2θ (15° ≤ 2θ ≤ 90°):
2θ (°), I/Imax
35.40, 53.2
36.40, 13.5
37.06, 100.0
39.59, 15.6
41.40, 36.0
45.95, 73.3
57.92, 16.4
65.08, 29.7
68.91, 14.2
76.31, 34.3
77.12, 17.6
83.30, 13.5

Cell and atoms:
a b c (Å): 8.297 8.297 8.297
angles (deg): 40.43 40.43 40.43
Atoms (fractional coordinates):
Hg1 0.000 0.000 0.000
Hg2 0.437 0.437 0.437
Hg3 0.563 0.563 0.563
H1 0.141 0.141 0.141
H2 0.285 0.285 0.285
H3 0.715 0.715 0.715
H4 0.859 0.859 0.859
Pd1 0.000 0.500 0.500
Pd2 0.061 0.061 0.559
Pd3 0.061 0.559 0.061
Pd4 0.441 0.939 0.939
Pd5 0.500 0.000 0.500
Pd6 0.500 0.500 0.000
Pd7 0.559 0.061 0.061
Pd8 0.939 0.441 0.939
Pd9 0.939 0.939 0.441

[2]
This entry pairs a crystal structure of Pr2GaPPt6 with its calculated X-ray powder pattern. Radiation: Cu Ka. Structure: a cell relaxed with GGA-PBE.
Peak positions follow from Bragg's law for the DFT cell and can differ from measured ones.

Main lines, in order of rising 2θ (15° ≤ 2θ ≤ 90°):
2θ (°), I/Imax
21.46, 20.3
26.78, 27.8
29.90, 80.9
34.02, 38.9
38.34, 100.0
38.84, 61.6
41.87, 51.7
42.07, 38.3
44.35, 28.4
48.78, 21.8
58.43, 37.0
74.12, 16.1

Cell and atoms:
a b c (Å): 5.596 8.631 8.283
angles (deg): 90.00 90.00 90.00
Atoms (fractional coordinates):
Pr1 0.250 0.011 0.227
Pr2 0.250 0.489 0.227
Pr3 0.750 0.511 0.773
Pr4 0.750 0.989 0.773
Ga1 0.250 0.750 0.779
Ga2 0.750 0.250 0.221
P1 0.250 0.250 0.742
P2 0.750 0.750 0.258
Pt1 0.001 0.250 0.971
Pt2 0.002 0.750 0.512
Pt3 0.250 0.004 0.615
Pt4 0.250 0.496 0.615
Pt5 0.498 0.750 0.512
Pt6 0.499 0.250 0.971
Pt7 0.501 0.750 0.029
Pt8 0.502 0.250 0.488
Pt9 0.750 0.504 0.385
Pt10 0.750 0.996 0.385
Pt11 0.998 0.250 0.488
Pt12 0.999 0.750 0.029

[3]
This entry pairs a crystal structure of Li2As2IrPd with its calculated X-ray powder pattern. Radiation: Cu Ka. Structure: a cell relaxed with GGA-PBE.
Peak positions follow from Bragg's law for the DFT cell and can differ from measured ones.
- - -
Years later the farm has been sold. No one visits it anymore. I, and probably everyone of my siblings and cousins, lock our precious memories and experiences of the farm close in our hearts. I took from it happy memories, strong family relationships, and a quirky interest in Archery.
Here's the proof of the hobby. I took my husband on a date to the local Sportsman's Show this weekend. We wandered all through the booths, sat through a cooking demonstration, and checked out dead dear heads mounted on walls. I know -J- enjoyed it. But for me the payoff came when we hit the indoor archery range. Shhh...Don't tell my husband...but my underlying reason for orchestrating the whole date: A chance to shoot off a few arrows!
+++
1.
Calculated powder diffractogram
Compound: Al3Ag
Radiation: Cu Kα X-rays
Structure: the PBE geometry in Alexandria

Top 6 peaks for 2θ from 10° to 80°, most intense first:
2θ 37.49, rel. 100, hkl 2 2 -1
2θ 39.00, rel. 81, hkl 0 2 2
2θ 19.93, rel. 42, hkl 1 1 0
2θ 20.30, rel. 38, hkl 1 1 -1
2θ 22.05, rel. 35, hkl 0 2 0
2θ 44.92, rel. 30, hkl 2 0 -3

Lattice parameters (Å, degrees): 5.973 8.063 6.296 90.00 116.48 90.00
Space group C2/m (No. 12)
One atom of each set of equivalent atoms:
Al: 0.000 0.249 0.000 (multiplicity 4)
Al: 0.123 0.500 0.745 (multiplicity 4)
Al: 0.250 0.250 0.500 (multiplicity 4)
Ag: 0.127 0.000 0.756 (multiplicity 4)



2.
Calculated powder diffractogram
Compound: Al2Ag7
Radiation: Cu Kα X-rays
Structure: the PBE geometry in Alexandria

Top 6 peaks for 2θ from 10° to 80°, most intense first:
2θ 38.97, rel. 100, hkl 0 1 3
2θ 39.20, rel. 97, hkl 1 1 0
2θ 56.46, rel. 32, hkl 2 0 3
2θ 70.89, rel. 32, hkl 1 2 3
2θ 24.69, rel. 18, hkl 0 1 1
2θ 71.04, rel. 15, hkl 3 0 0

Lattice parameters (Å, degrees): 4.5967 4.5967 8.5159 90.00 90.00 120.00
Space group P-3m1 (No. 164)
One atom of each set of equivalent atoms:
Al: 0.3333 0.6667 0.2795 (multiplicity 2)
Ag: 0.0000 0.0000 0.1719 (multiplicity 2)
Ag: 0.0000 0.0000 0.5000 (multiplicity 1)
Ag: 0.3333 0.6667 0.6160 (multiplicity 2)
Ag: 0.3333 0.6667 0.9551 (multiplicity 2)



3.
Calculated powder diffractogram
Compound: Al7Ag5
Radiation: Cu Kα X-rays
Structure: the PBE geometry in Alexandria

Top 6 peaks for 2θ from 10° to 80°, most intense first:
2θ 38.18, rel. 100, hkl 0 1 3
2θ 38.31, rel. 100, hkl 2 1 -1
2θ 10.06, rel. 43, hkl 0 0 1
2θ 43.42, rel. 39, hkl 2 0 2
2θ 45.76, rel. 32, hkl 0 2 0
2θ 44.15, rel. 32, hkl 2 0 -4

Lattice parameters (Å, degrees): 5.834 3.966 9.222 90.00 107.52 90.00
Space group Pm (No. 6)
One atom of each set of equivalent atoms:
Al: 0.000 0.000 0.000 (multiplicity 1)
Al: 0.006 0.500 0.497 (multiplicity 1)
Al: 0.165 0.500 0.827 (multiplicity 1)
Al: 0.336 0.000 0.667 (multiplicity 1)
Al: 0.347 0.500 0.170 (multiplicity 1)
Al: 0.514 0.500 0.504 (multiplicity 1)
Al: 0.847 0.000 0.664 (multiplicity 1)
Ag: 0.186 0.000 0.346 (multiplicity 1)
Ag: 0.482 0.000 0.995 (multiplicity 1)
Ag: 0.675 0.000 0.341 (multiplicity 1)
Ag: 0.675 0.500 0.821 (multiplicity 1)
Ag: 0.850 0.500 0.162 (multiplicity 1)



4.
Calculated powder diffractogram
Compound: Al5Ag3
Radiation: Cu Kα X-rays
Structure: the PBE geometry in Alexandria

Top 6 peaks for 2θ from 10° to 80°, most intense first:
2θ 24.36, rel. 100, hkl 1 1 1
2θ 37.48, rel. 100, hkl 2 2 0
2θ 38.80, rel. 90, hkl 0 2 2
2θ 44.39, rel. 60, hkl 2 0 2
2θ 64.45, rel. 38, hkl 2 4 2
2θ 44.23, rel. 31, hkl 0 4 0

Lattice parameters (Å, degrees): 5.923 8.192 5.633 90.00 90.00 90.00
Space group C222 (No. 21)
One atom of each set of equivalent atoms:
Al: 0.000 0.000 0.000 (multiplicity 2)
Al: 0.000 0.000 0.500 (multiplicity 2)
Al: 0.000 0.500 0.000 (multiplicity 2)
Al: 0.250 0.250 0.255 (multiplicity 4)
+++
Mission Accomplished!Okay folks. It's confession time. Leave me a comment about your quirky interest or hobby. You know we all have them - so lets just fess up and see what we can learn about each other.